標題: Casemiro Brazil Jersey secretaries
Rank: 4

UID 639
精華 0
積分 68535
帖子 22845
威望 68535
金錢 68535
學分 45690
閱讀權限 1
註冊 2017-5-25
用戶註冊天數 2596
用戶失蹤天數 1948
狀態 離線
-- What comes next are quantum chemistry results, not part of the text --
┌──
Record 1
Computed, not measured: a structure of composition C57H47CsN2O6PS2Sb in a non-equilibrium geometry, with the ωB97M-V functional and the def2-TZVPD basis.

Each line ends with the Löwdin charge.
Positions of all 117 atoms, in Å:
Cs (-2.461, -1.102, -2.160)  0.766
Sb (-0.908, 1.665, -4.795)  1.144
S (-3.626, -4.019, -0.920)  0.372
S (-2.174, -0.095, -5.457)  -0.096
P (2.312, -1.182, 4.005)  1.134
O (-1.990, 2.487, 0.076)  0.020
O (-0.355, -1.467, 2.794)  -0.025
O (1.298, 5.455, -1.915)  0.069
O (-1.407, 1.717, -2.761)  -0.322
O (0.342, 3.427, -3.922)  -0.132
O (-0.608, 5.278, 0.371)  0.093
N (-0.568, -3.073, -0.325)  0.089
N (-2.180, -1.948, 3.891)  0.146
C (0.762, 1.242, 3.909)  -0.106
C (1.164, -4.543, 1.290)  -0.032
C (-0.850, -2.741, 6.117)  -0.026
C (-3.350, 3.814, -4.331)  -0.084
C (-2.696, -5.951, 0.570)  -0.201
C (2.041, 2.176, 1.625)  -0.049
C (-0.500, -6.306, 1.468)  -0.090
C (1.889, 2.421, -8.910)  -0.119
C (-1.250, 3.123, -0.726)  -0.244
C (0.074, 1.361, -7.703)  -0.149
C (-1.459, -0.892, 2.016)  -0.060
C (0.015, 3.578, -2.687)  -0.306
C (0.837, 1.516, -8.855)  -0.110
C (0.956, -0.804, -4.253)  -0.141
C (1.784, -2.103, 6.586)  -0.101
C (-2.657, -1.640, 2.537)  -0.252
C (-2.316, 3.941, -6.390)  -0.134
C (-0.878, 2.714, -2.086)  -0.276
C (0.192, 2.243, -6.623)  -0.303
C (1.215, -1.748, 5.356)  -0.299
C (-2.980, 5.090, -6.697)  -0.111
C (2.474, 0.943, 2.229)  -0.104
C (-4.417, -0.480, 1.250)  -0.074
C (-1.764, -6.727, 1.211)  -0.120
C (-3.941, 5.638, -5.808)  -0.135
C (-4.024, -0.879, 2.693)  -0.327
C (0.595, -2.588, -0.081)  -0.343
C (-2.393, -4.787, -0.033)  -0.740
C (0.359, 2.440, 3.367)  -0.067
C (1.000, 2.873, 2.190)  -0.073
C (0.424, 4.589, -1.735)  -0.245
C (4.526, 1.096, 6.613)  -0.106
C (4.930, -1.145, 5.133)  -0.103
C (1.030, -2.746, 7.508)  -0.108
C (5.794, 0.613, 6.490)  -0.131
C (-0.101, -5.070, 0.948)  -0.205
C (-0.120, -2.105, 5.151)  -0.125
C (2.091, 1.253, -3.781)  -0.101
C (0.922, 0.627, -4.180)  -0.249
C (1.814, 0.469, 3.310)  -0.379
C (-0.945, -1.843, 3.911)  -0.379
C (1.213, 3.220, -6.718)  -0.105
C (-2.351, 3.274, -5.147)  -0.265
C (-1.000, -4.309, 0.157)  -0.177
C (-4.166, 4.965, -4.675)  -0.113
C (0.924, -1.248, -0.672)  -0.045
C (3.292, -0.854, -3.767)  -0.130
C (-0.510, 4.444, -0.503)  -0.252
C (3.233, 0.497, -3.575)  -0.109
C (2.038, 3.265, -7.838)  -0.125
C (-4.992, -1.883, 3.392)  -0.070
C (3.432, 0.562, 5.941)  -0.098
C (2.120, -1.534, -4.005)  -0.107
C (-0.299, -3.066, 7.330)  -0.061
C (3.647, -0.555, 5.136)  -0.409
C (6.015, -0.543, 5.777)  -0.100
C (1.599, -3.347, 0.726)  0.001
H (5.048, -2.105, 4.587)  0.105
H (-1.423, 0.230, 2.234)  0.155
H (-3.788, 0.249, 0.824)  0.040
H (-1.182, -1.049, 0.955)  0.092
H (2.094, -2.632, -3.953)  0.108
H (2.401, 2.399, 0.611)  0.112
H (-0.668, 0.539, -7.612)  0.045
H (1.444, 3.904, -5.847)  0.113
H (-0.771, -3.515, 8.135)  0.079
H (3.300, 0.414, 1.813)  0.091
H (-3.674, -6.312, 0.419)  0.069
H (-5.014, 5.215, -4.075)  0.083
H (4.188, -1.366, -3.492)  0.087
└──
發表於 2017-7-26 16:36  資料 私人訊息 
Molecular formula: CH4N2S
Method: DFT, wB97M-V/def2-TZVPD

```
8
Properties=species:S:1:pos:R:3:lowdin_charge:R:1
N 0.662 0.935 -0.165 0.05
C -0.123 0.013 0.408 -0.92
N -0.685 -0.952 -0.347 0.05
S -0.210 -0.093 2.216 0.36
H 1.322 1.533 0.359 0.11
H 0.614 1.120 -1.175 0.11
H -0.690 -0.673 -1.351 0.12
H -0.890 -1.884 0.055 0.12
```

Summary:
**Maximum force**: 4.8 eV/Å
**Multiplicity**: 1
**Molar mass**: 76.12 g mol⁻¹
**Kohn-Sham gap**: 8.448 eV
**Highest occupied orbital energy**: -0.291 hartree
**ΔE to the lowest compared entry with this formula, charge and spin**: 45.1 kJ/mol


(1)
The following is a quantum chemistry calculation of a molecular structure, C3H4Br2O at a distorted geometry, from OMol25.

Summary:
Relative energy (zero: lowest compared OMol25 entry of this formula, charge and spin), kcal/mol: 148.8
HOMO, eV: -7.9
LUMO energy, eV: -1.1
Total energy, hartree: -5339.707060
Max |F|, eV/A: 3.560

Last column: Mulliken charge in e.
Cartesian coordinates (Å):
C -0.39873 1.55588 -0.08681  -0.4144
C 2.51765 -0.00318 1.04009  -0.0605
C -1.35075 -0.66240 -0.42945  -0.4243
O -0.68060 0.59294 -0.80999  -0.1159
Br 2.56738 -1.66169 0.11957  -0.0581
Br 2.36827 1.51578 0.00594  0.0827
H -0.50413 1.49857 0.95958  0.3233
H -2.00034 -1.03498 -1.19065  0.2477
H -2.02203 -0.57690 0.49991  0.2808
H -0.49671 -1.22402 -0.10820  0.1388

Atomic forces in eV per Å
1.474 3.022 -1.168
0.013 0.013 0.790
-0.289 0.669 3.168
-1.991 -1.717 -1.734
-0.005 0.375 -0.388
0.276 -0.410 -0.329
-0.865 -1.135 2.090
0.333 -0.142 -0.924
1.048 0.523 -1.178
0.006 -1.199 -0.327

***

(2)
The following is a quantum chemistry calculation of 2 unconnected molecules or ions with the total composition C3H4N2O3 at a distorted geometry, from OMol25.

Summary:
Relative energy (zero: lowest compared OMol25 entry of this formula, charge and spin), kcal/mol: 160.7
HOMO, eV: -9.2
LUMO energy, eV: -0.7
Total energy, hartree: -451.723634
Max |F|, eV/A: 10.265

Last column: Mulliken charge in e.
Cartesian coordinates (Å):
C -0.91437 -0.57771 0.03490  0.5161
C 0.19187 -1.35452 0.02936  -0.6462
C 1.38811 -0.43927 0.03014  0.6088
H -2.47768 -2.18619 0.27426  0.3814
H -2.76984 -0.25567 -0.36354  0.2450
H 0.02248 -2.42438 -0.55977  0.1978
H -0.84156 2.52394 0.08928  0.3759
N -2.09263 -0.91881 -0.11875  -0.4388
N -0.61664 0.73531 0.52124  -0.1011
O 2.56648 -0.32155 -0.36186  -0.5650
O 0.79310 0.76565 0.62863  -0.1705
O -0.72984 1.78788 -0.61978  -0.4034

Atomic forces in eV per Å
6.328 1.089 1.551
1.340 -2.509 -2.805
1.532 1.499 -0.738
1.567 5.581 -1.976
-1.405 0.633 0.014
1.134 2.936 1.878
0.232 -1.221 -2.348
-7.113 -7.363 0.750
1.975 1.941 -1.895
-4.491 -1.421 1.722
0.356 -1.184 0.101
-1.455 0.018 3.747

***

(3)
The following is a quantum chemistry calculation of a molecular structure, C3H8O3 at a distorted geometry, from OMol25.

Summary:
Relative energy (zero: lowest compared OMol25 entry of this formula, charge and spin), kcal/mol: 116.0
HOMO, eV: -9.0
LUMO energy, eV: 0.3
Casemiro Brazil Jersey secretaries
The City and Guilds Institute has taken the lead in being the best provider of high quality vocational education.With over 130 years of experience in crafting qualifications, the courses which are offered in over 80 countries, has been strategically designed to provide students with the practical skills needed to succeed in the modern work place.The Institute which was in Guyana some years ago is now being resuscitated by the JTW& Associates Management Institute which is managed by a six-member board of governors.Joycelyn Williams, Director of JWT& Associates.Spearheading the programme is the training supervisor,Vincent Kompany Jersey, Montgomery Chester, who said, “The institute allows us the opportunity to be pioneers for the improvement of our young people. The Programmes being offered not only targets the enhancing of skills but also the transformation of the individual into a well rounded professional in the field they so desire to study.”Joycelyn Williams, Director of the Management Institute, stated,Douglas Santos Brazil Jersey, “The City & Guilds qualifications are widely accepted by employers around the world. However, recently the Institute strengthened its commitment to the Caribbean and the Americas with the opening of a Barbados-based Caribbean Office in April 2011. Today, we are proud to have the undying support and approval of the Guyana based centre by the regional office.”The JTW& Associates Management Institute Inc. currently offers two main qualifications, English for Office Skills and,Filipe Luis Brazil Jersey, Customer Service which is based on the demand.Williams noted that she is particularly excited about the Customer Service programme being offered as it seeks to make a very significant contribution in improving the “service delivered in Guyana.”Kaieteur News understands that The JTW& Associates Institute at 157 Waterloo Street, Georgetown,Memphis Depay Manchester United Jersey, is targeting journalists,Aleksandar Kolarov Jersey, secretaries,Asmir Begovic Jersey, administrative professionals and other persons for whom spoken and written English skills are of paramount importance.Moreover, anyone over 16 years old can register for classes which are held in the evening hours so as to provide a workable flexibility for those who are employed.